Reproduce the material underneath with every line break kept.

____________
Here is an optimized crystal structure of Ba2MoPO from Alexandria via LeMat-Bulk. Energies are from PBE+U.

Structure (extended XYZ):
```
5
Lattice="5.538 0.000 0.000 0.000 5.538 0.000 0.000 0.000 4.393" Properties=species:S:1:pos:R:3 pbc="T T T"
Ba 0.000 2.769 0.000
Ba 2.769 0.000 0.000
Mo 0.000 0.000 2.196
P 2.769 2.769 2.196
O 0.000 0.000 0.000
```

Computed properties:
Magnetization in μB/atom: 0.95
V in Å³/cell: 134.7
Space-group type: P4/mmm
Excess energy over the best structure of this formula in the dataset in meV/atom: 0

=====

NaLi3Sn | SCAN | single point on PBEsol structure

The structure belongs to space group Pm-3m (No. 221); the cell edges are 5.203, 5.203 and 5.203 Å and the angles 90.00°, 90.00° and 90.00°. The distinct sites, in fractional coordinates, are Na at (0.000, 0.000, 0.000), Li at (0.000, 0.500, 0.500) and Sn at (0.500, 0.500, 0.500).

The calculation puts the formation energy at -0.7 eV/f.u.


AgAu3S | SCAN | single point on PBEsol structure

The structure belongs to space group Pm-3m (No. 221); the cell edges are 4.676, 4.676 and 4.676 Å and the angles 90.00°, 90.00° and 90.00°. The distinct sites, in fractional coordinates, are Ag at (0.000, 0.000, 0.000), Au at (0.000, 0.500, 0.500) and S at (0.500, 0.500, 0.500).

The calculation puts the formation energy from raw total energies at 550 meV per atom.


LaTaZnCr2 | SCAN | single point on PBEsol structure

The structure belongs to space group P4/mmm (No. 123); the cell edges are 4.634, 4.634 and 4.908 Å and the angles 90.00°, 90.00° and 90.00°. The distinct sites, in fractional coordinates, are La at (0.000, 0.000, 0.000), Ta at (0.500, 0.500, 0.000), Zn at (0.500, 0.500, 0.500) and Cr at (0.000, 0.500, 0.500).

The calculation puts the formation energy at 3.7 eV/f.u.


BaScGa3 | SCAN | single point on PBEsol structure

The structure belongs to space group Pm-3m (No. 221); the cell edges are 5.515, 5.515 and 5.515 Å and the angles 90.00°, 90.00° and 90.00°. The distinct sites, in fractional coordinates, are Ba at (0.000, 0.000, 0.000), Sc at (0.500, 0.500, 0.500) and Ga at (0.000, 0.000, 0.500).

The calculation puts the formation energy at 5.7 eV/f.u.


AgMoRu2 | SCAN | single point on PBEsol structure

The structure belongs to space group Cm (No. 8); the cell edges are 8.896, 3.783 and 3.782 Å and the angles 90.00°, 115.15° and 90.00°. The distinct sites, in fractional coordinates, are Ag at (0.000, 0.000, 0.000), Mo at (0.250, 0.000, 0.748), Ru at (0.000, 0.500, 0.499) and Ru at (0.250, 0.500, 0.253).

The calculation puts the formation energy at 1.9 eV/f.u.
____________

Here is an optimized crystal structure of Ba2MoPO from Alexandria via LeMat-Bulk. Energies are from PBE+U.

Structure (extended XYZ):
```
5
Lattice="5.538 0.000 0.000 0.000 5.538 0.000 0.000 0.000 4.393" Properties=species:S:1:pos:R:3 pbc="T T T"
Ba 0.000 2.769 0.000
Ba 2.769 0.000 0.000
Mo 0.000 0.000 2.196
P 2.769 2.769 2.196
O 0.000 0.000 0.000
```

Computed properties:
Magnetization in μB/atom: 0.95
V in Å³/cell: 134.7
Space-group type: P4/mmm
Excess energy over the best structure of this formula in the dataset in meV/atom: 0

=====

NaLi3Sn | SCAN | single point on PBEsol structure

The structure belongs to space group Pm-3m (No. 221); the cell edges are 5.203, 5.203 and 5.203 Å and the angles 90.00°, 90.00° and 90.00°. The distinct sites, in fractional coordinates, are Na at (0.000, 0.000, 0.000), Li at (0.000, 0.500, 0.500) and Sn at (0.500, 0.500, 0.500).

The calculation puts the formation energy at -0.7 eV/f.u.


AgAu3S | SCAN | single point on PBEsol structure

The structure belongs to space group Pm-3m (No. 221); the cell edges are 4.676, 4.676 and 4.676 Å and the angles 90.00°, 90.00° and 90.00°. The distinct sites, in fractional coordinates, are Ag at (0.000, 0.000, 0.000), Au at (0.000, 0.500, 0.500) and S at (0.500, 0.500, 0.500).

The calculation puts the formation energy from raw total energies at 550 meV per atom.


LaTaZnCr2 | SCAN | single point on PBEsol structure

The structure belongs to space group P4/mmm (No. 123); the cell edges are 4.634, 4.634 and 4.908 Å and the angles 90.00°, 90.00° and 90.00°. The distinct sites, in fractional coordinates, are La at (0.000, 0.000, 0.000), Ta at (0.500, 0.500, 0.000), Zn at (0.500, 0.500, 0.500) and Cr at (0.000, 0.500, 0.500).

The calculation puts the formation energy at 3.7 eV/f.u.


BaScGa3 | SCAN | single point on PBEsol structure

The structure belongs to space group Pm-3m (No. 221); the cell edges are 5.515, 5.515 and 5.515 Å and the angles 90.00°, 90.00° and 90.00°. The distinct sites, in fractional coordinates, are Ba at (0.000, 0.000, 0.000), Sc at (0.500, 0.500, 0.500) and Ga at (0.000, 0.000, 0.500).

The calculation puts the formation energy at 5.7 eV/f.u.


AgMoRu2 | SCAN | single point on PBEsol structure

The structure belongs to space group Cm (No. 8); the cell edges are 8.896, 3.783 and 3.782 Å and the angles 90.00°, 115.15° and 90.00°. The distinct sites, in fractional coordinates, are Ag at (0.000, 0.000, 0.000), Mo at (0.250, 0.000, 0.748), Ru at (0.000, 0.500, 0.499) and Ru at (0.250, 0.500, 0.253).

The calculation puts the formation energy at 1.9 eV/f.u.